## Wanted
Next, copy the rows further below with every line break kept.

## Data
********
Here is a structure of composition C36H60NO6SSn from the OMol25 dataset. Energies are from ωB97M-V/def2-TZVPD.

```
105
Properties=species:S:1:pos:R:3:forces:R:3:mulliken_charge:R:1
Sn -0.7642 -0.6330 0.3825 0.0 0.1 0.0 1.49
C 6.5237 -3.1784 -1.4462 0.0 0.0 0.0 -1.23
C 6.3490 -2.0356 -0.4293 0.0 0.0 0.0 1.79
C 7.1519 -2.3595 0.8394 0.0 0.0 0.0 -1.91
C 6.8848 -0.7313 -1.0281 0.0 0.0 0.0 -1.71
C 4.8616 -1.9200 -0.1345 0.0 0.0 0.0 -1.16
C 4.0287 -1.1559 -0.8596 0.0 0.1 0.1 -0.05
C 2.6239 -1.0809 -0.5083 0.0 0.1 0.0 0.04
N 1.6880 -0.5062 -1.1772 0.0 0.1 0.0 0.24
C 2.0267 0.0346 -2.4478 0.0 0.0 0.0 -1.03
C 2.6013 -0.7377 -3.4453 -0.1 0.0 0.0 -0.55
C 3.0171 -0.1698 -4.6486 0.0 0.0 0.0 -0.88
C 2.9143 1.2114 -4.7915 0.0 0.0 0.0 -0.16
C 2.3196 2.0453 -3.8408 0.0 0.0 0.0 0.83
C 1.8182 1.3828 -2.7320 0.0 0.0 0.0 0.04
O 1.0164 2.1152 -1.7531 0.0 0.0 0.0 -0.42
C 2.3612 3.5817 -3.9660 0.0 0.0 0.0 1.67
C 0.9644 4.2269 -4.0208 0.0 0.0 0.0 -1.60
C 3.1057 4.0033 -5.2387 0.0 0.0 0.0 -2.24
C 3.1519 4.1518 -2.7733 0.0 0.0 0.0 -1.35
C 3.6188 -1.0645 -5.7289 0.0 0.0 0.0 1.97
C 4.8588 -1.7677 -5.1555 0.0 0.0 0.0 -1.51
C 2.5717 -2.1132 -6.1336 0.0 0.0 0.0 -1.65
C 4.0302 -0.2740 -6.9708 0.0 0.0 0.0 -2.21
C 2.1908 -1.6615 0.8325 0.1 0.2 0.1 0.44
O 1.1467 -1.2089 1.3526 -0.2 -0.3 0.0 -0.67
C 3.0355 -2.6404 1.4642 0.0 0.0 0.0 0.22
C 4.2930 -2.7190 0.9560 0.0 -0.1 -0.1 0.11
C 2.6715 -3.4308 2.7308 0.0 0.0 0.0 2.11
C 3.2629 -4.8466 2.6355 0.0 0.0 0.0 -1.93
C 3.2805 -2.7024 3.9387 0.0 0.0 0.0 -1.56
C 1.1632 -3.5757 2.9507 -0.1 0.0 0.0 -1.46
H 7.5860 -3.3388 -1.6328 0.0 0.0 0.0 0.45
H 6.1081 -4.1177 -1.0741 0.0 0.0 0.0 0.35
H 6.0410 -2.9362 -2.3944 0.0 0.0 0.0 0.06
H 8.2139 -2.2604 0.6189 0.0 0.0 0.0 0.46
H 6.9234 -1.6721 1.6572 0.0 0.0 0.0 0.41
H 7.0025 -3.3834 1.1842 0.0 0.0 0.0 0.41
H 7.9566 -0.8280 -1.1965 0.0 0.0 0.0 0.50
H 6.4340 -0.5026 -1.9954 0.0 0.0 0.0 0.22
H 6.7251 0.1128 -0.3549 0.0 0.0 0.0 0.41
H 4.3828 -0.5586 -1.6853 0.0 0.0 0.0 0.71
H 2.7225 -1.7982 -3.2649 0.0 0.0 0.0 0.72
H 3.3129 1.6636 -5.6840 0.0 0.0 0.0 0.83
H 0.2923 3.6899 -4.6923 0.0 0.0 0.0 0.36
H 0.4896 4.3336 -3.0383 0.0 0.0 0.0 0.27
H 1.0557 5.2441 -4.4000 0.0 0.0 0.0 0.53
H 2.5845 3.6801 -6.1406 0.0 0.0 0.0 0.47
H 3.1637 5.0906 -5.2666 0.0 0.0 0.0 0.48
H 4.1262 3.6207 -5.2622 0.0 0.0 0.0 0.46
H 2.6788 4.0188 -1.7873 0.0 0.0 0.0 0.35
H 4.1448 3.7071 -2.7084 0.0 0.0 0.0 0.40
H 3.2662 5.2294 -2.8901 0.0 0.0 0.0 0.43
H 4.6045 -2.4192 -4.3163 0.0 0.0 0.0 0.30
H 5.3169 -2.3908 -5.9238 0.0 0.0 0.0 0.51
H 5.6051 -1.0432 -4.8220 0.0 0.0 0.0 0.31
H 2.3012 -2.7636 -5.2996 0.0 0.0 0.0 0.29
H 1.6638 -1.6391 -6.5105 0.0 0.0 0.0 0.39
H 2.9736 -2.7450 -6.9256 0.0 0.0 0.0 0.47
H 4.8251 0.4433 -6.7566 0.0 0.0 0.0 0.43
H 4.4124 -0.9633 -7.7227 0.0 0.0 0.0 0.44
H 3.1861 0.2558 -7.4164 0.0 0.0 0.0 0.47
H 4.9765 -3.4061 1.4342 0.0 0.0 0.0 0.21
H 4.3508 -4.8561 2.6921 0.0 0.0 0.0 0.43
H 2.9066 -5.4429 3.4747 0.0 0.0 0.0 0.50
H 2.9650 -5.3481 1.7126 0.0 0.0 0.0 0.41
H 4.3660 -2.6354 3.8534 0.0 0.0 0.0 0.33
H 2.8838 -1.6890 4.0344 0.0 0.0 0.0 0.31
H 3.0492 -3.2440 4.8568 0.0 0.0 0.0 0.48
H 0.6614 -3.9478 2.0555 0.0 0.0 0.0 -0.32
H 0.9933 -4.2998 3.7469 0.0 0.0 0.0 0.60
H 0.6885 -2.6431 3.2447 0.0 0.0 0.0 0.19
C -0.4548 2.0301 -2.0202 0.0 0.0 0.0 -0.60
O -1.0243 2.4707 -0.8623 0.0 -0.1 0.1 -0.41
C -2.4683 2.5366 -0.9408 0.0 0.1 0.0 -0.60
C -3.0346 2.5082 0.4525 0.0 0.0 0.0 -0.77
O -2.7271 1.2509 1.0476 0.0 0.0 0.0 -0.05
C -3.1057 1.1503 2.4156 0.0 0.0 0.0 -0.51
C -2.7569 -0.2512 2.8541 0.1 0.0 0.0 -0.68
O -1.3503 -0.5362 2.6408 -0.1 0.0 0.0 -0.03
C -0.5126 -0.0837 3.7356 0.0 0.0 -0.1 -0.73
H -0.6601 2.6508 -2.8932 0.0 0.0 0.0 0.49
H 1.3157 3.0523 -1.7159 0.0 0.0 0.0 0.48
H -0.6109 0.9702 -2.2400 0.0 0.0 0.0 0.53
H -2.7626 3.4603 -1.4429 0.0 0.0 0.0 0.44
H -2.8466 1.6870 -1.5177 0.0 0.0 0.0 0.39
H -2.6341 3.3280 1.0560 0.1 0.0 0.0 0.40
H -4.1189 2.6339 0.3763 0.0 0.0 0.0 0.41
********

## Worked solution
Here is a structure of composition C36H60NO6SSn from the OMol25 dataset. Energies are from ωB97M-V/def2-TZVPD.

```
105
Properties=species:S:1:pos:R:3:forces:R:3:mulliken_charge:R:1
Sn -0.7642 -0.6330 0.3825 0.0 0.1 0.0 1.49
C 6.5237 -3.1784 -1.4462 0.0 0.0 0.0 -1.23
C 6.3490 -2.0356 -0.4293 0.0 0.0 0.0 1.79
C 7.1519 -2.3595 0.8394 0.0 0.0 0.0 -1.91
C 6.8848 -0.7313 -1.0281 0.0 0.0 0.0 -1.71
C 4.8616 -1.9200 -0.1345 0.0 0.0 0.0 -1.16
C 4.0287 -1.1559 -0.8596 0.0 0.1 0.1 -0.05
C 2.6239 -1.0809 -0.5083 0.0 0.1 0.0 0.04
N 1.6880 -0.5062 -1.1772 0.0 0.1 0.0 0.24
C 2.0267 0.0346 -2.4478 0.0 0.0 0.0 -1.03
C 2.6013 -0.7377 -3.4453 -0.1 0.0 0.0 -0.55
C 3.0171 -0.1698 -4.6486 0.0 0.0 0.0 -0.88
C 2.9143 1.2114 -4.7915 0.0 0.0 0.0 -0.16
C 2.3196 2.0453 -3.8408 0.0 0.0 0.0 0.83
C 1.8182 1.3828 -2.7320 0.0 0.0 0.0 0.04
O 1.0164 2.1152 -1.7531 0.0 0.0 0.0 -0.42
C 2.3612 3.5817 -3.9660 0.0 0.0 0.0 1.67
C 0.9644 4.2269 -4.0208 0.0 0.0 0.0 -1.60
C 3.1057 4.0033 -5.2387 0.0 0.0 0.0 -2.24
C 3.1519 4.1518 -2.7733 0.0 0.0 0.0 -1.35
C 3.6188 -1.0645 -5.7289 0.0 0.0 0.0 1.97
C 4.8588 -1.7677 -5.1555 0.0 0.0 0.0 -1.51
C 2.5717 -2.1132 -6.1336 0.0 0.0 0.0 -1.65
C 4.0302 -0.2740 -6.9708 0.0 0.0 0.0 -2.21
C 2.1908 -1.6615 0.8325 0.1 0.2 0.1 0.44
O 1.1467 -1.2089 1.3526 -0.2 -0.3 0.0 -0.67
C 3.0355 -2.6404 1.4642 0.0 0.0 0.0 0.22
C 4.2930 -2.7190 0.9560 0.0 -0.1 -0.1 0.11
C 2.6715 -3.4308 2.7308 0.0 0.0 0.0 2.11
C 3.2629 -4.8466 2.6355 0.0 0.0 0.0 -1.93
C 3.2805 -2.7024 3.9387 0.0 0.0 0.0 -1.56
C 1.1632 -3.5757 2.9507 -0.1 0.0 0.0 -1.46
H 7.5860 -3.3388 -1.6328 0.0 0.0 0.0 0.45
H 6.1081 -4.1177 -1.0741 0.0 0.0 0.0 0.35
H 6.0410 -2.9362 -2.3944 0.0 0.0 0.0 0.06
H 8.2139 -2.2604 0.6189 0.0 0.0 0.0 0.46
H 6.9234 -1.6721 1.6572 0.0 0.0 0.0 0.41
H 7.0025 -3.3834 1.1842 0.0 0.0 0.0 0.41
H 7.9566 -0.8280 -1.1965 0.0 0.0 0.0 0.50
H 6.4340 -0.5026 -1.9954 0.0 0.0 0.0 0.22
H 6.7251 0.1128 -0.3549 0.0 0.0 0.0 0.41
H 4.3828 -0.5586 -1.6853 0.0 0.0 0.0 0.71
H 2.7225 -1.7982 -3.2649 0.0 0.0 0.0 0.72
H 3.3129 1.6636 -5.6840 0.0 0.0 0.0 0.83
H 0.2923 3.6899 -4.6923 0.0 0.0 0.0 0.36
H 0.4896 4.3336 -3.0383 0.0 0.0 0.0 0.27
H 1.0557 5.2441 -4.4000 0.0 0.0 0.0 0.53
H 2.5845 3.6801 -6.1406 0.0 0.0 0.0 0.47
H 3.1637 5.0906 -5.2666 0.0 0.0 0.0 0.48
H 4.1262 3.6207 -5.2622 0.0 0.0 0.0 0.46
H 2.6788 4.0188 -1.7873 0.0 0.0 0.0 0.35
H 4.1448 3.7071 -2.7084 0.0 0.0 0.0 0.40
H 3.2662 5.2294 -2.8901 0.0 0.0 0.0 0.43
H 4.6045 -2.4192 -4.3163 0.0 0.0 0.0 0.30
H 5.3169 -2.3908 -5.9238 0.0 0.0 0.0 0.51
H 5.6051 -1.0432 -4.8220 0.0 0.0 0.0 0.31
H 2.3012 -2.7636 -5.2996 0.0 0.0 0.0 0.29
H 1.6638 -1.6391 -6.5105 0.0 0.0 0.0 0.39
H 2.9736 -2.7450 -6.9256 0.0 0.0 0.0 0.47
H 4.8251 0.4433 -6.7566 0.0 0.0 0.0 0.43
H 4.4124 -0.9633 -7.7227 0.0 0.0 0.0 0.44
H 3.1861 0.2558 -7.4164 0.0 0.0 0.0 0.47
H 4.9765 -3.4061 1.4342 0.0 0.0 0.0 0.21
H 4.3508 -4.8561 2.6921 0.0 0.0 0.0 0.43
H 2.9066 -5.4429 3.4747 0.0 0.0 0.0 0.50
H 2.9650 -5.3481 1.7126 0.0 0.0 0.0 0.41
H 4.3660 -2.6354 3.8534 0.0 0.0 0.0 0.33
H 2.8838 -1.6890 4.0344 0.0 0.0 0.0 0.31
H 3.0492 -3.2440 4.8568 0.0 0.0 0.0 0.48
H 0.6614 -3.9478 2.0555 0.0 0.0 0.0 -0.32
H 0.9933 -4.2998 3.7469 0.0 0.0 0.0 0.60
H 0.6885 -2.6431 3.2447 0.0 0.0 0.0 0.19
C -0.4548 2.0301 -2.0202 0.0 0.0 0.0 -0.60
O -1.0243 2.4707 -0.8623 0.0 -0.1 0.1 -0.41
C -2.4683 2.5366 -0.9408 0.0 0.1 0.0 -0.60
C -3.0346 2.5082 0.4525 0.0 0.0 0.0 -0.77
O -2.7271 1.2509 1.0476 0.0 0.0 0.0 -0.05
C -3.1057 1.1503 2.4156 0.0 0.0 0.0 -0.51
C -2.7569 -0.2512 2.8541 0.1 0.0 0.0 -0.68
O -1.3503 -0.5362 2.6408 -0.1 0.0 0.0 -0.03
C -0.5126 -0.0837 3.7356 0.0 0.0 -0.1 -0.73
H -0.6601 2.6508 -2.8932 0.0 0.0 0.0 0.49
H 1.3157 3.0523 -1.7159 0.0 0.0 0.0 0.48
H -0.6109 0.9702 -2.2400 0.0 0.0 0.0 0.53
H -2.7626 3.4603 -1.4429 0.0 0.0 0.0 0.44
H -2.8466 1.6870 -1.5177 0.0 0.0 0.0 0.39
H -2.6341 3.3280 1.0560 0.1 0.0 0.0 0.40
H -4.1189 2.6339 0.3763 0.0 0.0 0.0 0.41